Amersfoort – A Journey To The Centre of the Netherlands
In 1661, around 400 people wander out to the Soest moor where a 10-tonne glacial boulder lies. They put ropes around it, and use sticks to dislodge it. They then drag it all the way back to Amersfoort, where they feast on beer and pretzels. And then they bury the boulder in 1672. Was this the actions of a strange cult in Amersfoort, or was this just a prank?
- Start of Afternoon: Mondriaanhuis (the end point of my morning walk around Amersfoort)
- Cost of Day Out: Expensive (£££)
- History Content: Low
On exiting Mondriaanhuis, like a moth to flame, I’m drawn back again to the magical [1] Muurhuizen, a ring of terraced houses built on the foundations of the original city walls. At No. 25 Muurhuizen, [2] Groot Tinnenburg used to be connected to the gate that once stood here. The markings on the wall provide a good indication of how thick the city walls used to be.

I meander around the back streets of Mondriaanhuis enjoying the quiet, the medieval architecture and the boldly painted shutters and doors. Just walking around the cobbled streets of the very compact Amersfoort is such a delight in itself. I’m confident that by the end of the day I’ll have managed to have walked all of Amersfoort’s pretty little streets.

For the afternoon I decide to circumnavigate Amersfoort anti-clockwise along a new canal, the [3] Westsingel. And my reward is a close up view of the incredibly tall [4] Onze Lieve Vrouwetoren. This church tower has dominated my views all morning. I don’t need convincing that this 98 meter tower is the third highest in the Netherlands.

My anticlockwise route drops me right outside [5] Museum Flehite. The museum is housed in a wall house. Which means my visit to the museum not only covers Amersfoort’s history and paintings of the city, but also gives me the opportunity to see the internal structure of a wall house.

It’s also in Museum Flehite that I come across the works of a certain Mathias Calzeta Blanco from Amersfoort. At first, I wonder what an Italian is doing in a place like this. And then I realise that Calzeta Blanco (White House) is the Italian alias for the very Dutch Mathias Withoos. He is best known for his details of insects, reptiles and undergrowth in the foreground of his paintings.

From there I stroll over to the most visited gate of Amersfoort, the [6] Koppelpoort. Completed in 1425 in the new city wall, the archway once had a portcullis, which could be dropped to block the way in by canal. As for the gate over the road, “wheel-turners” were employed to raise and drop the gates. It was a very dangerous job.

In days gone by, ships would line outside the Koppelpoort. On the grounds around this gate, linen is bleached, cattle graze, grain is cultivated and tobacco leaves hang out to dry. Amersfoort hardly changes between 1450 and 1829. Then in 1829, much of the city’s medieval walls and gates are demolished. The canals are filled in. And in 1863, the locomotives steam in.

On cue, a train whistles past just beyond Koppelpoort. With the trains, Amersfoort’s economy gets a boost. I wander across to where the city expands beyond its walls during industrialisation. As expected, it’s a complete contrast to the medieval city I have just stepped out of. Here are modern buildings, trendy shops and the contemporary art and design museum [7] Kunsthal Kade. When I visit the Kunsthal Kade today, there’s an exhibition of artists from South Africa, a reminder of the colonial past of the Netherlands.

Navigating by the Onze Lieve back to the medieval core, I arrive at the square in front of the church tower. But there’s no sign of a church. The lack of a church can be blamed on the Reformists who use the church to store gun powder and produce grenades. In 1787, a soldier accidentally scrapes against one of the grenades. The resulting massive explosion flattens the church, but not the tower. I also assume the poor soldier did not fare very well either.

Before the explosion, the church was a pilgrimage point. Around 1450, a young lass on her way to a convent in Amersfoort, carries with her a crude wooden statue of Mary and the infant Jesus. Embarrassed by it, she throws it into the canal near Kamperbinnenpoort. But the statue is retrieved by another woman, on receiving visions of the canal. The statue is taken to the church and miracles, such as candles burning for longer, are noted. The story of the miracles spread.

With hundreds of pilgrims turning up, the church raises enough revenue to construct a tower of 346 steps. All of which I climb on the [8] guided tour of the tower. When I get to the very top, I’m at eye level with the magnificent slate tiled roof. I get fabulous views of Amersfoort as I ascend. And in the distance, I make out three towers all the way in Amsterdam!

And I accomplish my afternoon’s mission of finding the centre of the Netherlands. So tall and visible is the Onze Lieve that it is used as the point for the accurate triangulation of the country. At the base of the tower, a laser light does indeed mark the spot of the point x = 0 and y = 0 of the Netherlands.

There’s time to sneak in a [9] canal boat trip where I get close to local sculptor Tom Mooy’s drainage spouts. But as the tour is in Dutch, and I’ve walked umpteen times around these canals, my thoughts drift towards Amersfoort’s war stories given its location so close to the eastern border. From my Dordrecht visit I already know of the 1672 French invasion and the repercussions it had for the de Witt brothers. More recently, in May 1940, the entire village of 43,000 is evacuated in advance of a 4 day battle. Despite the efforts of the Dutch, they are invaded by Germany in the same month. This time there are grave repercussions for Rotterdam, which I have yet to visit.

On my way back to the train station, I go past the [11] Amersfoortse Kei. This is the boulder I refer to earlier. The antics surrounding the boulder was a result of a bet between two landlords and not a beer drinking pretzel eating cult. But when nearby towns nickname the people of Amersfoort Keientrekker (boulder-puller), the embarrassed city bury the boulder. It’s only in 1903 that the city could finally bring itself to uncover the boulder.

So my mission accomplished in finding the centre of Amersfoort, and the mystery of the large boulder solved, I settle down in the train back to Utrecht. What a grand old day I’ve had in Amersfoort. It comes highly recommended as a day trip in the Netherlands.

# The piece is interrupted by calculated molecules
- - -
{"formula": "C8H12F3KO4", "method": "wB97M-V/def2-TZVPD", "homo_lumo_gap_ev": 7.01, "relative_energy_ev": 0.142, "e_lumo_ev": -0.29, "e_homo_ha": -0.2681, "species": ["K", "C", "O", "O", "C", "F", "F", "F", "C", "C", "H", "H", "H", "H", "H", "H", "O", "C", "O", "C", "C", "C", "H", "H", "H", "H", "H", "H"], "coordinates": [[19.148, -17.562, 15.371], [20.513, -14.380, 15.595], [20.228, -15.372, 16.642], [20.446, -15.050, 14.444], [19.632, -13.086, 15.747], [18.333, -13.468, 15.999], [19.960, -12.266, 16.763], [19.484, -12.352, 14.619], [20.619, -15.024, 17.957], [20.433, -16.227, 18.884], [20.787, -16.039, 19.899], [19.354, -16.337, 19.029], [20.856, -17.178, 18.563], [19.911, -14.266, 18.306], [21.634, -14.628, 18.043], [21.543, -14.066, 15.820], [16.612, -16.700, 14.726], [16.080, -15.702, 15.163], [15.668, -15.646, 16.422], [14.994, -14.422, 16.724], [15.171, -13.566, 15.486], [15.569, -14.529, 14.365], [15.460, -14.011, 17.622], [13.980, -14.661, 17.053], [15.996, -12.869, 15.629], [14.318, -12.972, 15.160], [16.308, -14.066, 13.718], [14.745, -14.946, 13.785]], "mulliken_charge": [0.987, -0.125, -0.149, -0.878, 0.687, -0.247, -0.269, -0.287, -0.228, -1.243, 0.363, 0.289, 0.281, 0.234, 0.322, 0.232, -0.713, 0.614, -0.365, -0.485, -0.318, -0.394, 0.289, 0.299, 0.086, 0.422, 0.272, 0.325]}

---

{"formula": "C6H15O3S2", "method": "wB97M-V/def2-TZVPD", "homo_lumo_gap_ev": 8.65, "relative_energy_ev": 1.254, "e_lumo_ev": -4.14, "charge": 1, "e_homo_ha": -0.4702, "species": ["O", "C", "C", "S", "H", "H", "H", "H", "H", "H", "H", "C", "C", "C", "S", "O", "O", "C", "H", "H", "H", "H", "H", "H", "H", "H"], "coordinates": [[1.042, 0.222, -2.471], [0.006, 1.061, -2.928], [-1.147, 0.905, -1.929], [-2.761, 0.406, -2.619], [1.608, -0.044, -3.207], [0.319, 2.109, -2.943], [-0.304, 0.789, -3.943], [-0.918, 0.081, -1.248], [-1.373, 1.794, -1.341], [-2.399, -0.798, -3.106], [-2.700, 1.003, -3.826], [0.911, -1.523, 1.234], [1.638, -0.173, 1.276], [0.660, 0.862, 1.845], [-0.485, -0.052, 2.892], [-1.787, 0.007, 2.265], [-0.310, 0.320, 4.265], [0.218, -1.672, 2.582], [1.595, -2.347, 1.043], [0.160, -1.526, 0.438], [2.511, -0.249, 1.926], [1.992, 0.132, 0.291], [1.139, 1.634, 2.442], [0.051, 1.328, 1.071], [-0.591, -2.398, 2.605], [0.925, -1.873, 3.386]], "mulliken_charge": [-0.471, -0.282, -0.112, 0.002, 0.311, 0.298, 0.337, -0.118, 0.464, 0.293, 0.285, -0.382, -0.606, -0.437, 1.167, -0.657, -0.660, -0.766, 0.371, 0.087, 0.359, 0.271, 0.390, 0.064, 0.427, 0.365]}

---
- - -

- Trains to Amersfoort (Netherlands Rail website) – timetable and fares available on the online journey planner
- OV Chipkaart (website) – the anonymous Chipkaart avoids queues and can be topped up by credit card at machines at all train stations. Economical if you’re doing over 20 journeys/multiple holidays
- Museum Flehite (website) – closed Monday. Free with the Museumkaart.
- Kunsthal Kade (website) – closed Monday. Free with the Museumkaart
- Onze Lieve Vrouwetoren Guided Climb (website) – This is the only way to access the tower. Book online or head to the tourist office as soon as it opens. When I was there, they organised extra tours as the advertised one was sold out.